Exercise:
Set down the whole of the listing further below unchanged.

Given:
<<<
1.
Formula: C22H54F12N2NiO17S4
Source: the Open Molecules 2025 dataset
Level of theory: ωB97M-V with the def2-TZVPD basis set

Calculated values
E_tot = -6558.434408 Eh
HOMO energy (alpha / beta) = -0.3171 / -0.3171 Eh
orbital gap (alpha / beta) = 7.3 / 6.3 eV
⟨S²⟩ = 2.0033
spin multiplicity = 3
largest force on an atom = 4.08 eV/A

```
112
Properties=species:S:1:pos:R:3:mulliken_charge:R:1
Ni 3.2383 -0.3725 0.2773 1.09
C 1.1046 2.7350 -1.7065 0.41
F 1.4667 3.9286 -1.3201 -0.21
F -0.0081 2.8814 -2.3841 -0.20
F 1.9871 2.1158 -2.4658 -0.09
S 0.7766 1.6104 -0.1647 -0.23
O 1.5281 2.0822 0.9681 -0.40
O -0.6442 1.5773 -0.0034 0.37
N 1.5288 0.0532 -0.6073 1.06
S 0.4563 -0.7570 -1.4660 -0.27
O -0.2899 -0.0024 -2.4223 -0.55
O 1.1731 -1.8335 -2.1426 -0.49
C -0.6785 -1.6099 -0.1597 0.52
F -0.6337 -0.9167 0.9545 0.06
F -1.8901 -1.6797 -0.6488 -0.14
F -0.2993 -2.8468 0.1392 -0.21
C -1.4089 3.8442 3.2146 0.70
F -0.3551 3.6166 2.4346 -0.29
F -1.2864 4.8854 4.0101 -0.20
F -2.4491 4.0048 2.3618 -0.20
S -1.6731 2.2132 4.1896 0.87
O -1.9492 1.2652 3.1503 -0.54
O -0.3875 2.0295 4.8417 -0.58
N -3.1025 2.3924 5.1221 -0.40
S -2.5376 2.9019 6.5697 0.98
O -1.4515 3.8374 6.5267 -0.57
O -3.6772 3.3353 7.3442 -0.72
C -1.8813 1.3027 7.4304 0.69
F -2.5394 1.1426 8.5780 -0.25
F -2.0738 0.1869 6.7324 -0.23
F -0.5892 1.4353 7.6853 -0.23
C -2.7768 4.2914 -1.7264 -0.72
C -3.5273 5.0298 -0.6347 0.21
O -3.7958 6.3844 -1.0001 -0.57
H -3.4447 4.3049 -2.5898 0.38
H -2.5987 3.2378 -1.4924 0.08
H -1.7609 4.6571 -1.8690 0.19
H -2.9110 5.0027 0.2683 -0.07
H -4.4519 4.4915 -0.4062 0.14
H -3.6987 6.8756 -0.1802 0.34
C -4.3648 -4.3225 0.0355 -1.12
C -5.0285 -2.9697 -0.2264 0.31
O -5.5621 -2.4226 0.9708 -0.51
H -5.1486 -5.0783 0.1333 0.33
H -3.8394 -4.2922 0.9917 0.31
H -3.6283 -4.6417 -0.7023 0.27
H -5.8017 -3.0260 -0.9947 0.42
H -4.2230 -2.3040 -0.5507 -0.24
H -6.5135 -2.5431 0.9292 0.29
C 4.2967 0.1127 -3.7147 -1.17
C 4.9725 0.1937 -2.3745 0.21
O 4.3594 -0.7943 -1.4956 -0.31
H 3.2262 0.3016 -3.6945 0.09
H 4.5009 -0.8542 -4.1805 0.43
H 4.7377 0.8383 -4.4054 0.45
H 4.9924 1.1966 -1.9520 -0.20
H 6.0200 -0.1262 -2.3678 0.37
H 4.5795 -1.6559 -1.8603 0.25
C 0.9892 -0.2576 4.0333 -1.19
C 1.9878 -1.1042 3.2670 -0.19
O 2.5824 -0.3156 2.1972 -0.25
H 0.3848 -0.9567 4.6097 0.41
H 0.3687 0.3001 3.3326 0.05
H 1.5285 0.4320 4.6833 0.44
H 1.5677 -2.0058 2.8200 0.13
H 2.8182 -1.4358 3.9009 0.37
H 2.7447 0.5528 2.5901 0.20
C -4.0847 0.8191 0.6432 -0.21
C -5.2376 1.5659 1.2601 -0.63
O -4.8105 2.3399 2.3850 -0.44
H -3.6414 0.0439 1.2698 0.06
H -3.2597 1.4752 0.3575 0.05
H -4.4604 0.2678 -0.2274 0.33
H -5.9416 0.8532 1.6878 0.31
H -5.7136 2.1835 0.4925 0.26
H -4.1898 2.9987 2.0670 0.24
C 5.7118 3.1409 -0.0092 -1.15
C 4.2455 2.7326 0.0848 -0.44
O 4.0503 1.4464 0.7514 -0.19
H 6.2693 2.4284 0.6085 0.33
H 5.8872 4.1308 0.4002 0.36
H 6.1129 3.0040 -1.0110 0.31
H 3.7672 2.6797 -0.8913 0.13
H 3.6456 3.4452 0.6524 0.50
H 4.4172 1.6443 1.6237 0.20
C 2.2043 -4.6368 0.6897 -0.71
C 3.3132 -3.6469 0.8871 -0.60
O 3.0183 -2.4204 0.1794 -0.26
H 2.2776 -5.5889 1.2170 0.47
H 2.1010 -4.7217 -0.3916 0.07
H 1.3266 -4.2788 1.2342 0.13
H 4.2450 -4.0660 0.4923 0.31
H 3.5207 -3.4004 1.9285 0.43
H 2.8015 -2.7130 -0.7246 0.14
C 0.8379 -0.1634 -7.0042 -1.31
C 0.4283 -0.6800 -5.6484 0.57
O -0.6593 -1.5776 -5.6231 -0.55
H 1.0752 -0.9689 -7.7047 0.35
H 1.6498 0.5624 -7.0485 0.33
H -0.0189 0.3779 -7.4251 0.36
H 0.1922 0.2167 -5.0575 -0.02
H 1.2237 -1.2491 -5.1580 0.02
H -1.3730 -1.1929 -6.1485 0.29
C 1.1366 -5.4142 -3.2507 -1.08
C -0.0434 -5.1903 -2.3370 0.67
O -0.6183 -6.4040 -1.9132 -0.58
H 0.9086 -6.0225 -4.1263 0.41
H 1.9910 -5.8360 -2.7171 0.33
H 1.3369 -4.4293 -3.6875 0.15
H -0.8184 -4.5800 -2.8198 0.29
H 0.1209 -4.5119 -1.4894 -0.46
H 0.0188 -7.1190 -1.8810 0.31
```

2.
Formula: C8H7N3O2
Source: the Open Molecules 2025 dataset
Level of theory: ωB97M-V with the def2-TZVPD basis set

Calculated values
E_tot = -623.605684 Eh
HOMO energy (alpha / beta) = -0.3445 / -0.2888 Eh
orbital gap (alpha / beta) = 7.9 / 6.9 eV
>>>

Solution:
1.
Formula: C22H54F12N2NiO17S4
Source: the Open Molecules 2025 dataset
Level of theory: ωB97M-V with the def2-TZVPD basis set

Calculated values
E_tot = -6558.434408 Eh
HOMO energy (alpha / beta) = -0.3171 / -0.3171 Eh
orbital gap (alpha / beta) = 7.3 / 6.3 eV
⟨S²⟩ = 2.0033
spin multiplicity = 3
largest force on an atom = 4.08 eV/A

```
112
Properties=species:S:1:pos:R:3:mulliken_charge:R:1
Ni 3.2383 -0.3725 0.2773 1.09
C 1.1046 2.7350 -1.7065 0.41
F 1.4667 3.9286 -1.3201 -0.21
F -0.0081 2.8814 -2.3841 -0.20
F 1.9871 2.1158 -2.4658 -0.09
S 0.7766 1.6104 -0.1647 -0.23
O 1.5281 2.0822 0.9681 -0.40
O -0.6442 1.5773 -0.0034 0.37
N 1.5288 0.0532 -0.6073 1.06
S 0.4563 -0.7570 -1.4660 -0.27
O -0.2899 -0.0024 -2.4223 -0.55
O 1.1731 -1.8335 -2.1426 -0.49
C -0.6785 -1.6099 -0.1597 0.52
F -0.6337 -0.9167 0.9545 0.06
F -1.8901 -1.6797 -0.6488 -0.14
F -0.2993 -2.8468 0.1392 -0.21
C -1.4089 3.8442 3.2146 0.70
F -0.3551 3.6166 2.4346 -0.29
F -1.2864 4.8854 4.0101 -0.20
F -2.4491 4.0048 2.3618 -0.20
S -1.6731 2.2132 4.1896 0.87
O -1.9492 1.2652 3.1503 -0.54
O -0.3875 2.0295 4.8417 -0.58
N -3.1025 2.3924 5.1221 -0.40
S -2.5376 2.9019 6.5697 0.98
O -1.4515 3.8374 6.5267 -0.57
O -3.6772 3.3353 7.3442 -0.72
C -1.8813 1.3027 7.4304 0.69
F -2.5394 1.1426 8.5780 -0.25
F -2.0738 0.1869 6.7324 -0.23
F -0.5892 1.4353 7.6853 -0.23
C -2.7768 4.2914 -1.7264 -0.72
C -3.5273 5.0298 -0.6347 0.21
O -3.7958 6.3844 -1.0001 -0.57
H -3.4447 4.3049 -2.5898 0.38
H -2.5987 3.2378 -1.4924 0.08
H -1.7609 4.6571 -1.8690 0.19
H -2.9110 5.0027 0.2683 -0.07
H -4.4519 4.4915 -0.4062 0.14
H -3.6987 6.8756 -0.1802 0.34
C -4.3648 -4.3225 0.0355 -1.12
C -5.0285 -2.9697 -0.2264 0.31
O -5.5621 -2.4226 0.9708 -0.51
H -5.1486 -5.0783 0.1333 0.33
H -3.8394 -4.2922 0.9917 0.31
H -3.6283 -4.6417 -0.7023 0.27
H -5.8017 -3.0260 -0.9947 0.42
H -4.2230 -2.3040 -0.5507 -0.24
H -6.5135 -2.5431 0.9292 0.29
C 4.2967 0.1127 -3.7147 -1.17
C 4.9725 0.1937 -2.3745 0.21
O 4.3594 -0.7943 -1.4956 -0.31
H 3.2262 0.3016 -3.6945 0.09
H 4.5009 -0.8542 -4.1805 0.43
H 4.7377 0.8383 -4.4054 0.45
H 4.9924 1.1966 -1.9520 -0.20
H 6.0200 -0.1262 -2.3678 0.37
H 4.5795 -1.6559 -1.8603 0.25
C 0.9892 -0.2576 4.0333 -1.19
C 1.9878 -1.1042 3.2670 -0.19
O 2.5824 -0.3156 2.1972 -0.25
H 0.3848 -0.9567 4.6097 0.41
H 0.3687 0.3001 3.3326 0.05
H 1.5285 0.4320 4.6833 0.44
H 1.5677 -2.0058 2.8200 0.13
H 2.8182 -1.4358 3.9009 0.37
H 2.7447 0.5528 2.5901 0.20
C -4.0847 0.8191 0.6432 -0.21
C -5.2376 1.5659 1.2601 -0.63
O -4.8105 2.3399 2.3850 -0.44
H -3.6414 0.0439 1.2698 0.06
H -3.2597 1.4752 0.3575 0.05
H -4.4604 0.2678 -0.2274 0.33
H -5.9416 0.8532 1.6878 0.31
H -5.7136 2.1835 0.4925 0.26
H -4.1898 2.9987 2.0670 0.24
C 5.7118 3.1409 -0.0092 -1.15
C 4.2455 2.7326 0.0848 -0.44
O 4.0503 1.4464 0.7514 -0.19
H 6.2693 2.4284 0.6085 0.33
H 5.8872 4.1308 0.4002 0.36
H 6.1129 3.0040 -1.0110 0.31
H 3.7672 2.6797 -0.8913 0.13
H 3.6456 3.4452 0.6524 0.50
H 4.4172 1.6443 1.6237 0.20
C 2.2043 -4.6368 0.6897 -0.71
C 3.3132 -3.6469 0.8871 -0.60
O 3.0183 -2.4204 0.1794 -0.26
H 2.2776 -5.5889 1.2170 0.47
H 2.1010 -4.7217 -0.3916 0.07
H 1.3266 -4.2788 1.2342 0.13
H 4.2450 -4.0660 0.4923 0.31
H 3.5207 -3.4004 1.9285 0.43
H 2.8015 -2.7130 -0.7246 0.14
C 0.8379 -0.1634 -7.0042 -1.31
C 0.4283 -0.6800 -5.6484 0.57
O -0.6593 -1.5776 -5.6231 -0.55
H 1.0752 -0.9689 -7.7047 0.35
H 1.6498 0.5624 -7.0485 0.33
H -0.0189 0.3779 -7.4251 0.36
H 0.1922 0.2167 -5.0575 -0.02
H 1.2237 -1.2491 -5.1580 0.02
H -1.3730 -1.1929 -6.1485 0.29
C 1.1366 -5.4142 -3.2507 -1.08
C -0.0434 -5.1903 -2.3370 0.67
O -0.6183 -6.4040 -1.9132 -0.58
H 0.9086 -6.0225 -4.1263 0.41
H 1.9910 -5.8360 -2.7171 0.33
H 1.3369 -4.4293 -3.6875 0.15
H -0.8184 -4.5800 -2.8198 0.29
H 0.1209 -4.5119 -1.4894 -0.46
H 0.0188 -7.1190 -1.8810 0.31
```

2.
Formula: C8H7N3O2
Source: the Open Molecules 2025 dataset
Level of theory: ωB97M-V with the def2-TZVPD basis set

Calculated values
E_tot = -623.605684 Eh
HOMO energy (alpha / beta) = -0.3445 / -0.2888 Eh
orbital gap (alpha / beta) = 7.9 / 6.9 eV